(Work order)
Now give back all of the contents further below exactly.

(Material)
~~~
A plane-wave DFT calculation with PBE-GGA was carried out for an optimized crystal structure of ZnGe3.

For the total energy, the calculation gives -14.05 eV per cell. As for the formation energy: 103.8 kJ/mol of formula units. The value obtained for the spin magnetization is 0.00 μB per formula unit.

The structure belongs to space group Pm-3m (No. 221); the cell edges are 4.222, 4.222 and 4.222 Å and the angles 90.00°, 90.00° and 90.00°. The inequivalent atoms are Zn at (0.000, 0.000, 0.000) and Ge at (0.000, 0.500, 0.500).
~~~

(Response)
A plane-wave DFT calculation with PBE-GGA was carried out for an optimized crystal structure of ZnGe3.

For the total energy, the calculation gives -14.05 eV per cell. As for the formation energy: 103.8 kJ/mol of formula units. The value obtained for the spin magnetization is 0.00 μB per formula unit.

The structure belongs to space group Pm-3m (No. 221); the cell edges are 4.222, 4.222 and 4.222 Å and the angles 90.00°, 90.00° and 90.00°. The inequivalent atoms are Zn at (0.000, 0.000, 0.000) and Ge at (0.000, 0.500, 0.500).